[Source]
____________
A relaxed BeNiF2 crystal, computed with PBE with a Hubbard U.

Properties
As for the total energy: -15.2 eV/cell. As for the density: 3.0 g cm⁻³. Its density of states at the Fermi level is 0.17 states/eV/atom.

extended XYZ file:
```
4
Lattice="1.416 0.817 8.428 -1.416 0.817 8.428 0.000 -1.635 8.428" Properties=species:S:1:pos:R:3 pbc="T T T"
Be 0.000 0.000 0.000
Ni 0.000 0.000 12.643
F 0.000 0.000 1.384
F 0.000 0.000 23.901
```

* * * * *

Ba3YBr: relaxed, PBE.

Values from the calculation:
As for the uncorrected formation energy: -0.31 eV/atom. As for the calculated density: 3.81 Mg/m³. The polymorph energy (0 for the lowest one) is 0 meV/atom.

Cell lengths 6.3246, 6.3246, 6.3246 Å; angles 90.00, 90.00, 90.00 degrees
Space group Pm-3m (No. 221)
Unique sites:
Ba1 0.0000 0.0000 0.5000 [3 per cell]
Y1 0.5000 0.5000 0.5000 [1 per cell]
Br1 0.0000 0.0000 0.0000 [1 per cell]

=====

KLa2Mn: relaxed, PBE.

Values from the calculation:
The formation energy is 2.7 eV per formula unit. As for the calculated density: 4.59 Mg/m³. The polymorph energy (0 for the lowest one) is 411 meV/atom.

Cell lengths 5.6580, 5.6580, 4.1983 Å; angles 90.00, 90.00, 90.00 degrees
Space group P4/mmm (No. 123)
Unique sites:
K1 0.0000 0.0000 0.0000 [1 per cell]
La1 0.0000 0.5000 0.5000 [2 per cell]
Mn1 0.5000 0.5000 0.0000 [1 per cell]

=====

KCrMo: relaxed, PBE.

Values from the calculation:
The formation energy is 3.1 eV per formula unit. As for the calculated density: 4.73 Mg/m³. The polymorph energy (0 for the lowest one) is 34 meV/atom.

Cell lengths 3.1206, 3.1206, 7.7782 Å; angles 90.00, 90.00, 120.00 degrees
Space group P3m1 (No. 156)
Unique sites:
K1 0.0000 0.0000 0.0000 [1 per cell]
Cr1 0.3333 0.6667 0.6023 [1 per cell]
Mo1 0.6667 0.3333 0.4090 [1 per cell]

=====

Mn2CoCl: relaxed, PBE.

Values from the calculation:
As for the uncorrected formation energy: 0.32 eV/atom. As for the calculated density: 5.67 Mg/m³. The polymorph energy (0 for the lowest one) is 301 meV/atom.

Cell lengths 2.9170, 2.9170, 7.0333 Å; angles 90.00, 90.00, 90.00 degrees
Space group P4mm (No. 99)
Unique sites:
Mn1 0.0000 0.0000 0.0000 [1 per cell]
Mn2 0.5000 0.5000 0.2353 [1 per cell]
Co1 0.5000 0.5000 0.8343 [1 per cell]
Cl1 0.0000 0.0000 0.4580 [1 per cell]

=====

SrMgBr4: relaxed, PBE.

Values from the calculation:
As for the uncorrected formation energy: -0.36 eV/atom. As for the calculated density: 3.65 Mg/m³. The polymorph energy (0 for the lowest one) is 1392 meV/atom.

Cell lengths 9.2271, 9.2271, 9.2271 Å; angles 90.00, 90.00, 90.00 degrees
Space group F-43m (No. 216)
Unique sites:
Sr1 0.0000 0.0000 0.0000 [4 per cell]
Mg1 0.2500 0.2500 0.2500 [4 per cell]
Br1 0.1245 0.1245 0.6245 [16 per cell]

=====

Sc2CrPt: relaxed, PBE.

Values from the calculation:
The formation energy is -1.3 eV per formula unit. As for the calculated density: 7.84 Mg/m³.

Cell lengths 6.5853, 6.5853, 6.5853 Å; angles 90.00, 90.00, 90.00 degrees
Space group F-43m (No. 216)
Unique sites:
Sc1 0.0000 0.0000 0.0000 [4 per cell]
Sc2 0.2500 0.2500 0.2500 [4 per cell]
Cr1 0.0000 0.0000 0.5000 [4 per cell]
Pt1 0.2500 0.2500 0.7500 [4 per cell]
____________

[Work order]
Retype every line further up that contains the word "one".

[Written answer]
As for the uncorrected formation energy: -0.31 eV/atom. As for the calculated density: 3.81 Mg/m³. The polymorph energy (0 for the lowest one) is 0 meV/atom.
The formation energy is 2.7 eV per formula unit. As for the calculated density: 4.59 Mg/m³. The polymorph energy (0 for the lowest one) is 411 meV/atom.
The formation energy is 3.1 eV per formula unit. As for the calculated density: 4.73 Mg/m³. The polymorph energy (0 for the lowest one) is 34 meV/atom.
As for the uncorrected formation energy: 0.32 eV/atom. As for the calculated density: 5.67 Mg/m³. The polymorph energy (0 for the lowest one) is 301 meV/atom.
As for the uncorrected formation energy: -0.36 eV/atom. As for the calculated density: 3.65 Mg/m³. The polymorph energy (0 for the lowest one) is 1392 meV/atom.